Return Calcs: IP report v portfolio view returns when assets transferred between accounts

mtn_living Member ✭✭✭✭

I need some help understanding the following and if there is any way around it:

  1. In September I did an asset transfer from one brokerage to and existing Vanguard account. Reflected this in Quicken using a transfer so shares, lots, cost basis, etc. transferred just fine within Quicken (Windows Premier). All good.
  2. But, doing the transfer seems to have screwed up Portfolio View return numbers for the transferred assets.
  3. Looking at the Portfolio View (by Security Type), I see for instance VEU showing a YTD ROI of 26.14%. However, looking up official performance online, VEU actual YTD return (realize this is slightly different from ROI) is 8.12%. In the Investment Performance Report with date set to Yearly Quicken shows VEU ROI of 7.97%, very close to official number. Similarly, for VYM, Portfolio View shows YTD ROI of 81%, official online return YTD is 22.99% and Quicken Inv Perf Report shows 22.73%.

Clearly the portfolio view can't correctly compute ROI for transferred assets. This means none of the summary total returns for the portfolio are correct either. For instance, portfolio view shows my ROI YTD of 18.12% (16.33% if I included closed lots) but IPR shows overall portfolio return of 23.52% (same accounts, same assets selected).

_Calculated crystals, as found in the file_
********
Simulated powder X-ray diffraction pattern of Mg6NiCO8 for Cu Kα (λ = 1.5418 Å), from a crystal structure in Alexandria, relaxed with PBE+U.
Neutral-atom scattering factors, no anomalous dispersion.

Cell and atoms:
```
data_Mg6NiCO8
_chemical_formula_sum 'Mg6 Ni1 C1 O8'
_cell_length_a 4.2134
_cell_length_b 4.2134
_cell_length_c 8.4980
_cell_angle_alpha 90.00
_cell_angle_beta 90.00
_cell_angle_gamma 90.00
_symmetry_space_group_name_H-M 'P 4/m m m'
_symmetry_Int_Tables_number 123
_symmetry_space_group_name_Hall '-P 4 2'
loop_
_atom_site_label
_atom_site_type_symbol
_atom_site_fract_x
_atom_site_fract_y
_atom_site_fract_z
_atom_site_occupancy
Mg1 Mg 0.0000 0.0000 0.0000 1
Mg2 Mg 0.0000 0.5000 0.2555 1
Mg3 Mg 0.5000 0.5000 0.0000 1
Ni1 Ni 0.0000 0.0000 0.5000 1
C1 C 0.5000 0.5000 0.5000 1
O1 O 0.0000 0.0000 0.2517 1
O2 O 0.0000 0.5000 0.0000 1
O3 O 0.0000 0.5000 0.5000 1
O4 O 0.5000 0.5000 0.2505 1
```

Principal peaks in the range 5° ≤ 2θ ≤ 70°, sorted by position:
hkl 0 0 1, 10.41 deg, I 11; hkl 1 0 0, 21.09 deg, I 15; hkl 1 0 1, 23.57 deg, I 23; hkl 1 0 2, 29.86 deg, I 13; hkl 1 1 2, 36.85 deg, I 24; hkl 1 0 3, 38.29 deg, I 7; hkl 0 0 4, 42.55 deg, I 51; hkl 2 0 0, 42.93 deg, I 100; hkl 2 1 1, 49.55 deg, I 6; hkl 2 1 2, 53.17 deg, I 5; hkl 2 0 4, 62.04 deg, I 56; hkl 2 2 0, 62.33 deg, I 28

=====

Structure and calculated X-ray powder pattern of Cd10Ga3Hg3 (a structure optimized by DFT (PBE); Cu Kα (weighted mean of Kα1 and Kα2)).
Neutral-atom scattering factors, no anomalous dispersion.

The 10 most intense peaks (2θ from 10° to 90°), by angle:
- 29.25°, 3.053 Å, I 20
- 32.48°, 2.757 Å, I 33
- 35.74°, 2.513 Å, I 100
- 36.34°, 2.472 Å, I 58
- 36.98°, 2.431 Å, I 19
- 38.45°, 2.341 Å, I 15
- 45.57°, 1.990 Å, I 13
- 47.34°, 1.920 Å, I 13
- 56.17°, 1.638 Å, I 27
- 71.71°, 1.316 Å, I 22

Structure:
a b c (Å): 8.4218 8.4218 6.1068
angles (deg): 90.00 90.00 120.00
Sites, in units of the cell vectors:
Cd 0.0000 0.2208 0.0000
Cd 0.0000 0.7812 0.5000
Cd 0.2188 0.2188 0.5000
Cd 0.2208 0.0000 0.0000
Cd 0.3333 0.6667 0.2421
Cd 0.3333 0.6667 0.7579
Cd 0.6667 0.3333 0.2421
Cd 0.6667 0.3333 0.7579
Cd 0.7792 0.7792 0.0000
Cd 0.7812 0.0000 0.5000
Ga 0.0000 0.5976 0.0000
Ga 0.4024 0.4024 0.0000
Ga 0.5976 0.0000 0.0000
Hg 0.0000 0.4093 0.5000
Hg 0.4093 0.0000 0.5000
Hg 0.5907 0.5907 0.5000

---

Structure and calculated X-ray powder pattern of Cd15GaHg4 (a structure optimized by DFT (PBE); Cu Kα (weighted mean of Kα1 and Kα2)).
Neutral-atom scattering factors, no anomalous dispersion.

The 10 most intense peaks (2θ from 10° to 90°), by angle:
- 26.87°, 3.318 Å, I 28
- 30.13°, 2.966 Å, I 90
- 32.12°, 2.786 Å, I 31
- 34.42°, 2.605 Å, I 24
- 34.93°, 2.568 Å, I 100
- 35.83°, 2.506 Å, I 92
- 37.05°, 2.426 Å, I 77
- 39.11°, 2.303 Å, I 87
- 39.31°, 2.292 Å, I 52
- 41.65°, 2.169 Å, I 26

Structure:
a b c (Å): 4.3594 4.6682 23.0996
angles (deg): 87.84 85.95 84.86
Sites, in units of the cell vectors:
Cd 0.0000 0.0000 0.0000
Cd 0.0000 0.5000 0.5000
Cd 0.0451 0.0070 0.4084
********

While I can and do mostly rely on the IPR for tracking my returns I do find Portfolio View handy for the big picture but I don't trust the numbers.

Anyway around this problem and what specifically is happening? Is Quicken annualizing the returns of the transferred assets as if they were new to me as of the date of transfer? If this was covered elsewhere sorry, I did read through a bunch of other threads first.


  • Jim_Harman
    Jim_Harman Quicken Windows Subscription SuperUser ✭✭✭✭✭

    If you are happy with the Investment Performance Report numbers, you can use the Avg. Annual Return (%) columns in the Portfolio views. These should be the same as the IPR numbers if the same date range, accounts, and securities are selected.

    The returns are annualized in both the Portfolio view Avg. Annual Return columns and the IPR, so if you have moved securities between accounts during the year, you must include both the new and the old accounts and look at the Overall Total numbers.

    QWin Premier subscription
  • Geo1104
    Geo1104 Quicken Canada Subscription Member ✭✭
    edited December 2024

    I have the same issue. I transferred securities from one existing investment account to another existing investment account using the "Shares transferred between accounts" transaction. The "Amount return YTD" and "Amount return 1 year" in the portfolio view are egregiously wrong, simply useless. This is very disappointing. I spent approx 45 minutes on a chat with Quicken. The agent tried but was unable to correct the issue. As an example, security RQN had a security price of $20.07 on Dec 31, 2023. As of Nov 30, 2024 the price is $20.48, a small gain. The portfolio view displays a loss of $40,113. This is useless.

    BTW, the Quicken agent I was on the chat with, directed me to install a patch for Quicken Canada and the file was validated and repaired. These steps did not correct the incorrect returns appearing in the portfolio report.

  • Jim_Harman
    Jim_Harman Quicken Windows Subscription SuperUser ✭✭✭✭✭

    Note that "Amount return" is Q Canada terminology; in the US these columns would simply be "Return" unless Multicurrency support is enabled.

    Is RQN RBC Target 2025 Canadian Corp BondIdxETF?

    When was the transfer?

    What is the share price in Quicken on the transfer date?

Materials data, as found in the file:
This entry pairs a crystal structure of CaMg8Rh4 with its computed PXRD pattern. Radiation: CuKα. Structure: a structure optimized by DFT (GGA-PBE).
No peak broadening, texture or thermal motion is included.

Top 8 peaks for 2θ from 15° to 90°, low angle first:
index, d_spacing, intensity
2 0 0, 4.587, 100
2 2 0, 3.243, 31
2 0 2, 2.457, 74
4 0 0, 2.293, 44
2 2 2, 2.166, 63
4 2 0, 2.051, 35
4 2 2, 1.676, 32
6 2 2, 1.298, 16

Structural model:
Unit cell a=9.1731 b=9.1731 c=5.8193 alpha=90.00 beta=90.00 gamma=90.00
Space group I4/mmm (No. 139)
Unique sites:
Ca 0.0000 0.0000 0.0000 (multiplicity 2)
Mg 0.0000 0.2258 0.5000 (multiplicity 8)
Mg 0.0000 0.3262 0.0000 (multiplicity 8)
Rh 0.2500 0.2500 0.2500 (multiplicity 8)

----------

[1]
This entry pairs a crystal structure of CoGeN2 with its calculated powder diffractogram. Radiation: a wavelength of 1.5418 Å. Structure: a structure optimized by DFT (PBE).
Lines closer than 0.1° are merged.

Structure:
```
data_CoGeN2
_space_group_name_H-M_alt 'P 63/m m c'
_space_group_IT_number 194
_space_group_name_Hall '-P 6c 2c'
_cell_length_a 2.9125
_cell_length_b 2.9125
_cell_length_c 10.3360
_cell_angle_alpha 90.00
_cell_angle_beta 90.00
_cell_angle_gamma 120.00
loop_
_atom_site_label
_atom_site_type_symbol
_atom_site_fract_x
_atom_site_fract_y
_atom_site_fract_z
_atom_site_occupancy
Co1 Co 0.0000 0.0000 0.0000 1
Ge1 Ge 0.3333 0.6667 0.2500 1
N1 N 0.3333 0.6667 0.6099 1
```

Most intense lines, 2θ from 15° to 90°, most intense first:
| 2θ (°) | I_rel | index |
| --- | --- | --- |
| 39.77 | 100 | 1 0 2 |
| 44.52 | 54 | 1 0 3 |
| 36.68 | 34 | 1 0 1 |
| 34.72 | 33 | 0 0 4 |
| 63.93 | 30 | 1 1 0 |
| 65.63 | 24 | 1 0 6 |
| 74.84 | 21 | 1 1 4 |
| 57.66 | 18 | 1 0 5 |

=====

[2]
This entry pairs a crystal structure of CoGeN2 with its calculated powder diffractogram. Radiation: a wavelength of 1.5418 Å. Structure: a structure optimized by DFT (PBE).
Lines closer than 0.1° are merged.

Structure:
```
data_CoGeN2
_space_group_name_H-M_alt 'P n a 21'
_space_group_IT_number 33
_cell_length_a 5.445
_cell_length_b 6.446
_cell_length_c 5.202
_cell_angle_alpha 90.00
_cell_angle_beta 90.00
_cell_angle_gamma 90.00
loop_
_space_group_symop_operation_xyz
'x,y,z'
'-x,-y,z+1/2'
'-x+1/2,y+1/2,z+1/2'
'x+1/2,-y+1/2,z'
loop_
_atom_site_label
_atom_site_type_symbol
_atom_site_fract_x
_atom_site_fract_y
_atom_site_fract_z
_atom_site_occupancy
Co1 Co 0.083 0.124 0.000 1
Ge1 Ge 0.081 0.625 0.002 1
N1 N 0.070 0.613 0.365 1
N2 N 0.091 0.137 0.390 1
```

Most intense lines, 2θ from 15° to 90°, most intense first:
| 2θ (°) | I_rel | index |
| --- | --- | --- |
| 36.72 | 100 | 1 2 1 |
| 34.48 | 54 | 0 0 2 |
| 37.28 | 46 | 2 0 1 |
| 32.28 | 43 | 1 2 0 |
| 63.25 | 30 | 1 2 3 |
| 58.35 | 28 | 3 2 0 |
| 69.57 | 25 | 3 2 2 |
| 32.90 | 23 | 2 0 0 |

=====

[3]
This entry pairs a crystal structure of Nb9Co4Ge with its calculated powder diffractogram. Radiation: a wavelength of 1.5418 Å. Structure: a structure optimized by DFT (PBE).

    How many shares were transferred?

    Have any shares been bought or sold since the transfer?

    Was the Portfolio view set to look at the new account, the old account, or both accounts?

    What Group by option was selected for the portfolio view?

    All these selections will affect the "Return" calculation.

    QWin Premier subscription
  • mtn_living
    mtn_living Member ✭✭✭✭

    Jim… thanks for your insights. However, finally had time to go back at this in detail today. The Portfolio View return numbers for assets transferred between accounts do not appear to be correct - even when all relevant accounts included in the view. Seems to be correct in the longer-term numbers (three year, five year). Below is a specific example. I've used three accounts in this example and one asset VEU (Vanguard international ETF). Acct #1 is the account from which I transferred shares to Acct #2 in September. Also shown is my IRA account where I've held VEU for a long time, no transfers, no buys/sells this year for a clean comparison.

    Investment Performance Report (IPR)

    The first set of numbers shown here are the investment performance report for VEU, sorted by account, and period set to Yearly (this year). You can see shares on 9/18/24 were transferred from Acct #1 to Acct #2. Overall performance (ROI) for the asset for the year was 10.2% - this matches Vanguard's reported YTD return of 8.38% plus including dividends received for the year. So far, so good.

    Portfolio View

    Now we move to the next illustration which shows a couple of Portfolio Views. In each portfolio view only the same accounts shown in the IPR are used and I've only included VEU. The first section shows a consolidated view. Note that the overall YTD ROI is shown as 37.35%, nowhere near the official Vanguard number or the IPR report number. The second section shows same but now arranged by portfolio, again using only VEU as the selected security. Note that the IRA shows the same ROI as the IPR shows - 10.22%, the correct numbers. But Acct #1 shows an ROI of -57.81% and Acct #2 shows NA for the YTD ROI. The overall ROI is again 37.35%. The bottom of the lower illustration shows Vanguard's reported performance for VEU as of today from their web site.


    To me this indicates that the Portfolio View is showing incorrect numbers for YTD when assets are transferred between accounts. Am I missing something? As noted in original post I mostly rely on the ROI's shown in the Investment Performance Report so this isn't a big deal for me but it is weird and not sure why it's happening when Quicken transfers the cost basis and original purchase date of each lot when it moves shares between accounts. It should be able to produce correct ROI and return numbers within the current year in the Portfolio View. It correctly calculates in IPR, why not in Portfolio View?

  • Geo1104
    Geo1104 Quicken Canada Subscription Member ✭✭
    edited December 2024

    The following is further to my msg above at 5:17 pm and in reply to Jim's questions above at 5:50 pm

    1) Is RQN RBC Target 2025 Canadian Corp BondIdxETF? Reply: Yes

    2) When was the transfer? Reply: Nov 25, 2024

    3) What is the share price in Quicken on the transfer date? Reply: $20.45

    4) How many shares were transferred? Reply: 2,500

    5) Have any shares been bought or sold since the transfer? Reply: No

    6) Was the Portfolio view set to look at the new account, the old account, or both accounts? Reply: All investment accounts are included, which include both the transfer from and the transfer to account. Both accounts have existed for a number of years.

    7) What Group by option was selected for the portfolio view? All these selections will affect the "Return" calculation. Reply: The return amount is incorrect regardless of the Group by option selected – Security, Account, Investment Goal, etc. The investment return amount in the Portfolio view is simply egregiously wrong. The program code to calculate the return amount for the Portfolio view is incorrect. Further proof of this is that Quicken reports generate a completely different result.

    Incorrect calculations like this issue that are glaringly incorrect cause one to question what other return calculation errors might exist in Quicken

  • Jim_Harman
    Jim_Harman Quicken Windows Subscription SuperUser ✭✭✭✭✭


    Please don't call the numbers in the Investment Performance Report (IPR) "ROI", it will only cause confusion. The IPR does an annualized IRR (Internal Rate of Return) calculation, which is different.

    Your IPR is subtotaled by account, not sorted. The numbers look correct. The account totals are different because they cover different periods.

    Please compare your issues with the Portfolio view account level ROI numbers to this discussion from 2019. Do they amount to the same issue?

    QWin Premier subscription
  • Jim_Harman
    Jim_Harman Quicken Windows Subscription SuperUser ✭✭✭✭✭
    edited December 2024


    Your issue may be related but it is somewhat different. Please let me know if this describes your situation accurately:

    You started with 2,500 shares of RQN in Account A. These were worth $20.07 x 2,500 or $50,175 on 12/31/23.

    On 11/25/24, you transferred all the shares to account B at $20.45 or 51,125. There were no other purchases or sales this year.

    The Portfolio view Return YTD and Return 1-yr as of today show a large loss of about $40,000 regardless of how the view is subtotaled.

    Do I have that right?


    I tried a simple test based on these assumptions and I do not see any issues.

    Please go to Tools > Security List and click on the entry for RQN to display the Security Detail view. Click on More then Edit Price History. Review the price history to look for any wildly incorrect prices that might account for these odd return numbers.

    QWin Premier subscription
  • mtn_living
    mtn_living Member ✭✭✭✭


  • q_lurker
    q_lurker Quicken Windows Subscription SuperUser ✭✭✭✭✭


    Beyond the @Jim_Harman comment about the ROI you are seeing in the portfolio view not being the same as the IRR of the IPR report, there is another key factors overlooked. ROI is computed using Amount Invested. For Acct #1, that Amount Invested for the ROI (YTD) calculation should be the value of the 2000.88 shares on 12/31/23. At 56.14/share, that would be the $112,329 value. For Acct #2, I would expect the Amount Invested to be the basis value of the Shares Added transactions. But since you are seeing asterisks for that account (why I do not know), I am not sure what is happening at that stage. I suggest you customize your portfolio views to include relevant Amount Invested columns so you can better understand the numbers being presented. Amount Invested can be shown as would be applicable for a variety of time frames (YTD, 1-Yr, etc.). Basically, ROI(period) = Return(period) / Amount Invested(period).

    I and many users find the Amount Invested computation to be misleading thereby making the ROI frequently misleading. Amount Invested is far more valuable for Buy and Hold investors and events such as your transfer can really throw a wrench in the works.

- - -
Computed powder diffractogram
Compound: TcIr3
Radiation: λ = 1.5418 Å (Cu Kα)
Structure: a crystal structure in the Materials Project, relaxed with PBE
Intensities are scaled so that the largest is 100.

Atomic structure:
```
TcIr3
1.0
5.528 0.000 0.000
-2.764 4.788 0.000
0.000 0.000 4.383
Tc Ir
2 6
direct
0.333 0.667 0.250
0.667 0.333 0.750
0.167 0.334 0.750
0.167 0.833 0.750
0.334 0.167 0.250
0.666 0.833 0.750
0.833 0.167 0.250
0.833 0.666 0.250
```

The 6 most intense peaks (2θ from 10° to 90°), by angle:
- 2θ 37.57, I = 24
- 2θ 41.19, I = 25
- 2θ 43.05, I = 100
- 2θ 67.81, I = 17
- 2θ 76.36, I = 19
- 2θ 82.52, I = 21

=====

Computed powder diffractogram
Compound: K3SiF7
Radiation: λ = 1.5418 Å (Cu Kα)
Structure: a crystal structure in the Materials Project, relaxed with PBE
Intensities are scaled so that the largest is 100.

Atomic structure:
```
K3SiF7
1.0
7.832 0.000 0.000
0.000 7.832 0.000
0.000 0.000 5.629
K Si F
6 2 14
direct
0.000 0.000 0.000
0.195 0.305 0.500
0.305 0.805 0.500
0.500 0.500 0.000
0.695 0.195 0.500
0.805 0.695 0.500
0.000 0.500 0.000
0.500 0.000 0.000
0.000 0.000 0.500
0.109 0.609 0.218
0.109 0.609 0.782
0.155 0.345 0.000
0.345 0.845 0.000
0.391 0.109 0.218
0.391 0.109 0.782
0.500 0.500 0.500
0.609 0.891 0.218
0.609 0.891 0.782
0.655 0.155 0.000
0.845 0.655 0.000
0.891 0.391 0.218
0.891 0.391 0.782
```

The 6 most intense peaks (2θ from 10° to 90°), by angle:
- 2θ 27.75, I = 100
- 2θ 31.80, I = 32
- 2θ 32.33, I = 69
- 2θ 36.27, I = 51
- 2θ 41.14, I = 94
- 2θ 45.98, I = 42

=====

Computed powder diffractogram
Compound: Ho3Co4Ge13
Radiation: λ = 1.5418 Å (Cu Kα)
Structure: a crystal structure in the Materials Project, relaxed with PBE
Intensities are scaled so that the largest is 100.

Atomic structure:
```
Ho3Co4Ge13
1.0
8.810 0.000 0.000
0.000 8.810 0.000
0.000 0.000 8.810
Ho Co Ge
6 8 26
direct
0.000 0.250 0.500
0.000 0.750 0.500
0.250 0.500 0.000
0.500 0.000 0.250
0.500 0.000 0.750
0.750 0.500 0.000
0.250 0.250 0.250
0.250 0.250 0.750
0.250 0.750 0.250
0.250 0.750 0.750
0.750 0.250 0.250
0.750 0.250 0.750
0.750 0.750 0.250
0.750 0.750 0.750
0.000 0.000 0.000
0.000 0.305 0.154
0.000 0.305 0.846
0.000 0.695 0.154
0.000 0.695 0.846
0.154 0.000 0.305
0.154 0.000 0.695
0.195 0.500 0.346
0.195 0.500 0.654
0.305 0.154 0.000
0.305 0.846 0.000
0.346 0.195 0.500
0.346 0.805 0.500
0.500 0.346 0.195
0.500 0.346 0.805
0.500 0.500 0.500
0.500 0.654 0.195
0.500 0.654 0.805
0.654 0.195 0.500
0.654 0.805 0.500
0.695 0.154 0.000
0.695 0.846 0.000
0.805 0.500 0.346
0.805 0.500 0.654
0.846 0.000 0.305
0.846 0.000 0.695
```

The 6 most intense peaks (2θ from 10° to 90°), by angle:
- 2θ 22.57, I = 14
- 2θ 36.78, I = 100
- 2θ 38.22, I = 38
- 2θ 40.98, I = 24
- 2θ 65.29, I = 14
- 2θ 70.96, I = 14

=====

Computed powder diffractogram
Compound: CuPbO3
Radiation: λ = 1.5418 Å (Cu Kα)
Structure: a crystal structure in the Materials Project, relaxed with PBE
Intensities are scaled so that the largest is 100.

Atomic structure:
```
CuPbO3
1.0
- - -

  • Geo1104
    Geo1104 Quicken Canada Subscription Member ✭✭
    edited December 2024


    Thanks for your interest regarding the portfolio view return calc error in Quicken. Further to your comments and questions, following is detailed information:

    Issue: Amount Return YTD and Amount Return 1 Year calculations in the portfolio view are wrong when the "Shares Transferred Between Accounts" transaction has been used

    As indicated in the security report below, as of Dec 31, 2023/Jan 1, 2024 I held 2,500 RQN shares in acct RBC 699. The value of the shares held in RBC 699 on Dec 31, 2023 @ $20.07/shr= $50,175.

    These shares were transferred to account CIBC 597 1 on Nov 25, 2024. On Nov 30, 2024 the value of the 2,500 shares in account CIBC 597 1 @ $20.48/shr= $51,200. So, in reality, there is a small YTD 2024 capital gain on these 2,500 shares.

    I also own RQN in account CIBC 597 4. Per the security report below, 3,000 shares were purchased in this account in Feb 2024 and April 2024. 3,300 shares were held in this account on Dec 31, 2023.

    The price history report appears below. There are no anomalies.

    The Amount Return YTD appearing in portfolio view is a loss of ($45,706) report for account CIBC 597 1, which is wrong. The Amount Return YTD in the portfolio view for account CIBC 597 4 is a gain of $5,592.

    The issue is the return calculation in the portfolio view is wrong when securities have been transferred from one investment account to another when the "Shares Transferred Between Accounts" transaction has been used. Whereas the investment performance report generated using the "Reports" menu provides the correct result. It is clear the Portfolio view return calculations are simply wrong.

    BTW, I used RQN as an example. I also transferred several other securities from account RBC 699 to account CIBC 597 1. The Amount Return YTD is also incorrect for the other securities transferred between accounts. The commonality is securities were transferred using "Shares Transferred Between Accounts" transaction.

    The Portfolio view Return YTD and Return 1-yr as of today show a large loss for the transferred shares regardless of how the view is subtotaled.

This discussion has been closed.